Writing this diary has given me a much greater appreciation of my own garden with its plants, birds and visiting wildlife.Talking about plants and the garden I never tire of. Yes, well maybe I do ramble on a bit sometimes – sorry! However, I am really trying to keep this post very brief today and not because I feel it is less important – quite the opposite.
Working in, or simply being in, the garden can be therapeutic on a wide range of levels from escaping the stresses of our daily lives to rebuilding our lives after ill health or disability. It can also be a very sociable activity to be enjoyed with family and friends.
Thrive, and Trellis are just two of the many, many organisations who are helping others feel better through horticulture. If you are interested in this for yourself, or someone you know, you will find contact addresses and much more by browsing these sites and the links within them. Some also produce Newsletters too and I was particularly delighted to be asked to add some chat from my garden to a column in one that is in my area of Scotland. It should be fun – although keeping to the word count I expect will be quite tricky for me!
Garden birds are how my diary started and when Bob at Dean Birders mailed me, last February, asking me to exchange links with him I knew I would return to post on his project one day. In their site they say:
‘This project was the result of two keen birdwatchers getting together and wanting to share their hobby with those that have difficulty getting out and about. We want to set up feeder stations and nesting boxes in the gardens of those people that are either elderly or have a disability and are limited to the house’.
If you want to help out with this project, in the Forest of Dean, or get ideas for one yourself I’m sure Bob would be happy to hear from you. Equally, if you want to help out with the other projects mentioned above I’m sure they too would be very interested to hear from you. There, I’ve almost managed a brief post 🙂
Glad to see you’ve joined the ranks of Blotanical, Frances. This is a lovely post, and i’m off to explore Thrive and Trellis as a result. Don’t worry about rambling on–this is YOUR space and your place to share your thoughts with others, and we appreciate them.
Hi again, Jodi 🙂
Thank-you for your support and thanks also for adding me as a favourite on Blotanical 🙂
Hi Shirl – thanks for your posting on my blog – unfortunately I’ve been away so missed the dates to share birds in my garden in Brittany – I counted 11 blue tits/great tits on the bird table all at once this morning which isn’t bad! I was over in the UK seeing friends near to Bristol! So it’s back to the hard slog now that I’m back… so will hopefully get some time to post some more on my blog v. soon… will be in touch Miranda
You just ramble on girl. I love every word of it.
Hey Shirl!
Thanks for your recent comments on Blue-Grey.
_Someone pasted data records at this point_
********
PmSm4S5 after structural relaxation. Source: the Alexandria database, functional PBE.

Output
Magnetic moment   0.00 μB per formula unit
Uncorrected formation energy   -46.64 kcal/mol of atoms
E_tot   -6.45 eV per atom
SG   Immm
DOS(E_F)   0.47 states/eV/atom

Cell: 4.0149 5.6711 10.6257 Å, 105.48 100.89 90.00°
Last column: nearest neighbours and their distance in Å.
Element x y z (fractional)
Sm 0.5999 0.5999 0.1999  6 S 2.84
Sm 0.7998 0.7998 0.5995  6 S 2.83-2.84
Sm 0.4001 0.4001 0.8001  6 S 2.84
Sm 0.2002 0.2002 0.4005  6 S 2.83-2.84
S 0.8001 0.3001 0.6002  6 Sm 2.84
S 0.3992 0.8992 0.7985  4 Sm 2.83-2.84, 2 Pm 2.85
S 0.1999 0.6999 0.3998  6 Sm 2.84
S 0.0000 0.5000 0.0000  2 Pm 2.84, 4 Sm 2.84
S 0.6008 0.1008 0.2015  4 Sm 2.83-2.84, 2 Pm 2.85
Pm 0.0000 0.0000 0.0000  6 S 2.84-2.85



PmSm3S4 after structural relaxation. Source: the Alexandria database, functional PBE.

Output
Magnetic moment   0.00 μB per formula unit
Uncorrected formation energy   -46.51 kcal/mol of atoms
E_tot   -6.44 eV per atom
SG   Pm-3m
DOS(E_F)   0.53 states/eV/atom
Energy above the most stable polymorph in this dataset   7.1 meV per atom

Cell: 5.6792 5.6792 5.6792 Å, 90.00 90.00 90.00°
Last column: nearest neighbours and their distance in Å.
Element x y z (fractional)
S 0.0000 0.5000 0.0000  4 Sm 2.84, 2 Pm 2.84
S 0.5000 0.5000 0.5000  6 Sm 2.84
S 0.0000 0.0000 0.5000  2 Pm 2.84, 4 Sm 2.84
S 0.5000 0.0000 0.0000  4 Sm 2.84, 2 Pm 2.84
Sm 0.5000 0.0000 0.5000  6 S 2.84
Sm 0.0000 0.5000 0.5000  6 S 2.84
Sm 0.5000 0.5000 0.0000  6 S 2.84
Pm 0.0000 0.0000 0.0000  6 S 2.84



PmSmS2 after structural relaxation. Source: the Alexandria database, functional PBE.

Output
Magnetic moment   0.00 μB per formula unit
Uncorrected formation energy   -46.83 kcal/mol of atoms
E_tot   -6.46 eV per atom
SG   C2/m
DOS(E_F)   0.40 states/eV/atom
Energy above the most stable polymorph in this dataset   0.0 meV per atom

Cell: 4.0240 4.0240 6.9500 Å, 73.07 73.07 60.18°
Last column: nearest neighbours and their distance in Å.
Element x y z (fractional)
Sm 0.5000 0.5000 0.5000  6 S 2.83
S 0.7508 0.7508 0.7477  3 Sm 2.83, 3 Pm 2.85
S 0.2492 0.2492 0.2523  3 Sm 2.83, 3 Pm 2.85
Pm 0.0000 0.0000 0.0000  6 S 2.85



PmSm2S4 after structural relaxation. Source: the Alexandria database, functional PBE.

Output
Magnetic moment   0.00 μB per formula unit
Uncorrected formation energy   -47.18 kcal/mol of atoms
E_tot   -6.43 eV per atom
SG   Cmcm
DOS(E_F)   0.26 states/eV/atom
Energy above the most stable polymorph in this dataset   0.0 meV per atom

Cell: 3.9068 6.9286 13.3847 Å, 90.00 90.00 106.38°
Last column: nearest neighbours and their distance in Å.
Element x y z (fractional)
Sm 0.1294 0.2589 0.4300  6 S 2.76-2.87
Sm 0.8706 0.7411 0.9300  6 S 2.76-2.87
Sm 0.8706 0.7411 0.5700  6 S 2.76-2.87
Sm 0.1294 0.2589 0.0700  6 S 2.76-2.87
S 0.5000 0.0000 0.0000  4 Sm 2.77
S 0.9725 0.9450 0.7500  2 Sm 2.76, 2 Pm 2.83
S 0.2241 0.4481 0.6224  3 Sm 2.85-2.87, 2 Pm 2.90
********
I hope you don’t mind, but I’ve added your fantastic site as a link from my effort.
Interesting to hear about your Blue Tits – I intend to remove most of the shavings from my nestcam this weekend – been thinking about it for some time.
A cable change is probably necessary also, as the connector is a wee bit fickle, so I’ll do all that in one go.
What a fantastic blog you have here!
Many thanks.
What a very lovely idea Shirl.
Hi again, Miranda, Lisa , Jayne and hello Doug 🙂
Miranda – delighted to hear from you. Gosh that’s a lot of blue/great tits at one time! I’m guessing they must like the climate in Brittany. No probs at all about missing the count but if you do a post similar at any time just let me know and I’ll link to it too 😀
Lisa – thank-you! You are kind 😀
Jayne – yes, I think so too 😀
Doug – You are welcome! Its’ great to see someone else here in the UK writing about birds in Nestboxes at the moment – posting videos too. Of course I am delighted with a link from you and I will also add you to my birds/wildlife links if that’s okay with you. Thank-you for your generous comment – I’m sure we will have plenty to chat about in the future 😀
I am a firm believer in the theraputic benefits of gardening. If you ever come to Chicago, you must visit the garden designed for those with disabilities at the Chicago Botanic Garden. It is a model which all resident care facilities should adopt to allow their clients to continue to engage in gardening.
Hi again, Mr. McGregor’s Daughter 🙂
This is an area that I have been aware of although I have no first hand experience. It is great to hear of a Botanical garden supporting this in Chicago I wonder if any do here in the UK do too 😀